The First Journey Creates the Traveller

We are always on a journey from darkness into light. The journey from anonymity to intimacy is one we continually travel. Indeed, the human self, both body and mind, arrives in the world through this journey. We come out of anonymity into light. By some strange destiny, seeds engage each other in the darkness of the womb. It is startling that the infinite intimacy of the human person begins in this unknown encounter between two individuals. Our parents set us on this journey when they make love and conceive us. We forget that our very conception emerged out of the passionate act of their longing for each other. It is no surprise that we are filled with desire. Each of us is literally a child of longing. On its journey to humanity, the embryo actually travels through all the shapes of evolution. Each of these embryonic shapes becomes ever more personal until the blur of forms finally clarifies as the baby’s body, and the intimacy of a human countenance emerges. It is no wonder that we have such hunger to belong. The very formation of our tiny bodies as babies was itself a journey of the most precarious longing.

Already in you as a little dot of presence, some powerful longing knew how to guide original belonging to undertake the journey from nowhere towards the intimacy of becoming an individual with your own world within. Usually on a journey you leave a point and travel through a place until you arrive at an intended destination. Your journey into this planet was different from any other journey you will ever make. The journey actually created the one who travelled and created the inner landscape of mind and soul of the traveller. The elemental metamorphosed into the human. This is an instance of the astounding symmetry in Nature. The inner sphere of the womb mirrors and completes the outer journey of evolution. There was some ancient pre-conscious sense of belonging alive in you which already felt enough connection with the mother to start on this dangerous path. Nothing remained the same. All the changes happened in the blind darkness, and the transition to each new stage entailed such complete transformation. The depth and poignant consistency of your hunger to belong can be traced to this forgotten journey between the worlds.

- - -
Run A
C5H12N2 | ωB97M-V/def2-TZVPD

Calculated values
molar mass	100.16	g mol⁻¹
E_HOMO	-18.356	eV
total charge	+2

Each line ends with the Mulliken charge.
Geometry (Å):
C (2.147, -2.105, 0.218)  -0.0954
N (1.549, -1.052, -0.182)  -0.0202
C (0.526, -0.287, 0.561)  0.4850
C (0.439, -0.501, 1.883)  -0.9343
C (-0.208, 0.767, -0.228)  -0.8708
C (-1.725, 0.678, -0.376)  -0.2549
N (-2.126, 1.892, -1.331)  -0.3892
H (1.757, -2.680, 1.071)  0.2673
H (2.970, -2.610, -0.289)  0.2842
H (2.007, -0.677, -1.006)  0.3365
H (-0.066, 0.225, 2.501)  0.2941
H (0.999, -1.264, 2.445)  0.1845
H (0.121, 0.826, -1.269)  0.4429
H (0.168, 1.745, 0.112)  0.4755
H (-2.422, 0.743, 0.461)  0.3753
H (-2.098, -0.232, -0.979)  0.3251
H (-2.607, 1.627, -2.196)  0.3627
H (-1.311, 2.365, -1.723)  0.3583
H (-2.617, 2.652, -0.835)  0.3733

Run B
C5H12N2 | ωB97M-V/def2-TZVPD

Calculated values
molar mass	100.16	g mol⁻¹
E_HOMO (spin up / spin down)	-18.815 / -19.572	eV
total charge	+2

Each line ends with the Mulliken charge.
Geometry (Å):
C (0.809, -1.973, -2.389)  -0.1377
C (0.709, -0.685, -0.321)  0.1912
C (0.657, 1.179, 1.181)  -0.5765
C (-1.128, -0.520, 1.089)  -0.6896
C (-0.739, 1.402, -0.581)  -0.8378
N (0.834, -1.187, -1.426)  0.1501
N (-0.137, 0.283, 0.288)  -0.1718
H (-0.002, -2.815, -2.374)  0.3007
H (1.664, -1.879, -3.076)  0.3197
H (1.274, -0.713, 1.972)  0.4262
H (0.836, 0.413, 1.993)  -0.0158
H (1.616, 1.541, 0.670)  0.4237
H (0.114, 2.055, 1.710)  0.3902
H (-2.001, -0.048, 1.004)  0.3462
H (-1.221, -1.478, 0.648)  0.3754
H (-0.745, -0.592, 2.205)  0.3674
H (-0.863, 0.989, -1.678)  0.3097
H (-1.576, 1.803, -0.161)  0.3939
H (-0.101, 2.224, -0.752)  0.4350

Which of them is least stable? Easy: run B.

Run A
C5H12N2 | ωB97M-V/def2-TZVPD

Calculated values
molar mass	100.16	g mol⁻¹
E_HOMO	-20.075	eV
total charge	+2

Each line ends with the Mulliken charge.
Geometry (Å):
C (3.047, 0.730, -0.131)  -1.0401
C (2.386, -0.521, 0.293)  0.1802
N (1.199, -0.810, -0.121)  0.0971
C (0.099, -1.204, -0.381)  -0.2370
C (-1.228, -0.421, 0.348)  0.1527
C (-0.920, 1.037, 0.292)  -1.2292
N (-2.589, -0.759, -0.268)  -0.3173
H (2.399, 1.224, -0.859)  0.3281
H (3.410, 1.372, 0.758)  0.3392
H (4.006, 0.481, -0.646)  0.3915
H (2.812, -1.140, 0.969)  0.4949
H (-0.190, -1.810, -1.230)  0.3728
H (-1.404, -0.601, 1.438)  0.2690
H (-1.225, 1.566, -0.594)  0.4151
H (-1.311, 1.523, 1.085)  0.4304
H (0.184, 1.300, 0.324)  0.1614
H (-3.357, -0.816, 0.400)  0.3865
H (-2.466, -1.755, -0.720)  0.4001
H (-2.727, -0.063, -1.034)  0.4045

Run B
C5H12N2 | ωB97M-V/def2-TZVPD

Calculated values
molar mass	100.16	g mol⁻¹
E_HOMO	-18.255	eV
total charge	+2

Each line ends with the Mulliken charge.
Geometry (Å):
C (0.281, -0.329, -3.895)  -0.0815
N (0.867, -0.518, -2.755)  -0.0446
C (0.436, 0.015, -1.528)  -0.2251
C (0.798, -0.104, -0.268)  -0.2593
C (0.104, 0.713, 0.824)  -0.5738
C (-0.749, -0.202, 1.715)  -0.5363
N (-0.784, 0.149, 3.204)  -0.3107
H (0.771, -0.792, -4.740)  0.2883
H (-0.489, 0.408, -3.870)  0.2813
- - -
Here the entry continues =

In the womb something inside you already knew you were growing towards belonging. The hunger to belong is not merely a desire to be attached to something. It is rather sensing that great transformation and discovery become possible when belonging is sheltered and true. Belonging is a call to integrity and creativity. The structure of this call illuminates the very nature of belonging. The first belonging is to the body of the mother. Only when desire and destiny help realize this belonging does the embryo grow into self-identity and reach the threshold of belonging to itself. This first belonging is a blind and vulnerable struggle. It is a secret growth in the darkness. Without this primal longing to belong, no individual could ever come into being. When we normally think about people, we inevitably forget that each person actually grew out of this original impulse to belong. This pre-conscious longing grew to become the mind, body, and spirit of a person. This belonging was not a static, fixed attachment. It was alive with desire and the wish to become the one you dreamed.

Even as a little micro-essence of tissue you cling internally to the mother until you develop your own body to cross the next threshold into the distance-filled world. Despite all the scientific inventions that can provide information on the unborn child, the truth is, the really important things remain unknown. Something within you already knows the infinities that lie in wait outside the mother and recognizes that the only way of traversing them is to become a body. To be born is an incredible event, a great disturbance. You are cast out; thrown from the cave into the light. It is interesting that your first moment of experience is a moment of disturbance. In its abrupt dislocation, birth already holds the echo of death. The rhythm of this moment prefigures the subsequent rhythm of your life: parting and coming together. There can be no union without separation, no return without parting. No belonging is permanent. To live a creative and truthful life, it is vital to learn the art of being separate and the generosity of uniting.
